== Activity ==
Your job: echo the lines underneath from the one with "ωB97M-V/def2-TZVPD" to the one with "-7.803," without altering anything.
== Listing ==
'''
{
  "formula": "C6H12NP",
  "method": "ωB97M-V/def2-TZVPD",
  "orbital_gap_ev": 7.7,
  "e_homo_ev": -7.803,
  "de_lowest_ev": 1.956,
  "e_lumo_ev": -0.09,
  "species": ["C", "C", "C", "C", "C", "C", "N", "P", "H", "H", "H", "H", "H", "H", "H", "H", "H", "H", "H", "H"],
  "coordinates": [[1.353, 0.252, -1.019], [-1.257, -0.641, 0.058], [0.868, 1.699, -0.905], [-2.029, 0.400, 0.884], [0.744, -0.638, 1.422], [0.150, -0.863, 0.058], [2.384, -0.198, -1.474], [-2.154, -1.249, -1.322], [0.463, 1.991, 0.085], [1.597, 2.314, -1.348], [-0.017, 1.905, -1.649], [-2.953, 0.671, 0.401], [-2.152, 0.085, 1.953], [-1.540, 1.331, 0.847], [0.430, -1.457, 2.088], [0.322, 0.181, 1.972], [1.803, -0.819, 1.450], [0.365, -1.850, -0.159], [2.646, -1.234, -1.431], [-1.022, -1.880, -1.913]],
  "forces_ev_per_a": [[-4.6364, -0.7513, 3.2152], [-3.4375, 0.7455, -3.6013], [-2.2773, -0.9175, -1.8229], [0.4507, -1.6667, 0.5960], [-0.4148, -1.6716, 1.1893], [3.0289, 2.9769, 0.7741], [2.4281, -1.6724, -1.0444], [0.7984, 0.4866, 1.6378], [0.8022, -0.3115, -0.5255], [1.2736, 1.1132, 0.1825], [1.2493, -0.9217, 1.3607], [-0.7151, -0.6040, 0.0972], [-0.0778, 0.3772, -0.9088], [1.1793, 1.1709, 0.3389], [-0.3414, -0.2498, -0.1612], [0.5918, 1.0662, -0.0648], [0.6876, 0.9175, -0.0256], [0.6308, -1.8545, -1.3027], [-1.0554, 1.9056, 0.1092], [-0.1650, -0.1387, -0.0438]]
}
'''
== Here it is ==
  "method": "ωB97M-V/def2-TZVPD",
  "orbital_gap_ev": 7.7,
  "e_homo_ev": -7.803,